Abraham's Auto Blog

Why You Should Take Swift Action If You Suspect Head Gasket Issues

An internal combustion engine is made up of many individual parts bolted together to create the finished item. The primary parts of the motor are the engine block and the cylinder head, and when these two particular components are joined, a special gasket is placed in between. Why is this part so important, and what can happen if it begins to fail?

Protecting the Engine

The engine block is machined to incorporate the piston assembly, where each piston moves up and down within a sleeve, to turn the crankshaft below. The cylinder head, meanwhile, contains several combustion chambers, where valves open and close to allow fuel, air and gas to come in and out. As you can imagine, there's a tremendous amount of pressure and heat within this environment, and it's important to ensure that the block and the head are firmly attached.

Crucial Job

# 1
Molecular formula: C10H12LaO5
Method: DFT, wB97M-V/def2-TZVPD

E_LUMO = -14.15 eV
Net charge = +3
Orbital gap = 0.1810 Ha
ΔE to the lowest compared entry with this formula, charge and spin = 38.87 kcal/mol

XYZ file:
```
28
Properties=species:S:1:pos:R:3:forces:R:3:mulliken_charge:R:1
La 0.03513 -0.04196 0.43546 5.48 -0.36 2.01 1.64
C -2.34015 -0.27705 -0.13916 -8.39 -1.46 -2.86 0.25
O -3.39066 -0.48623 -0.60293 5.54 1.16 2.70 -0.04
C -0.96498 1.12412 -1.80963 -3.96 1.65 -4.55 0.20
O -1.74799 1.40031 -2.61795 3.90 -1.12 3.65 -0.05
C -0.57191 -1.68838 -1.29604 -2.85 -6.17 -4.76 0.25
O -1.03936 -2.55062 -1.91300 2.42 4.19 2.83 -0.03
C -1.13587 2.04020 0.97009 -4.51 6.52 1.97 0.24
O -1.79054 2.94869 1.24587 3.02 -4.03 -1.25 -0.01
C 4.28631 0.58838 -0.06682 -0.64 -0.39 0.42 -0.68
H 4.39819 1.07257 0.92003 0.20 -0.34 -0.64 0.34
H 4.44320 -0.50447 -0.13625 0.19 0.75 0.08 0.36
C 3.94377 1.30173 -1.15055 -1.18 0.14 -0.25 -0.56
H 3.77591 0.81234 -2.13468 0.45 0.50 0.70 0.34
H 3.72754 2.38833 -1.07175 0.47 -0.79 -0.21 0.33
C -1.48306 -3.66401 3.01120 -0.26 0.13 -0.55 -0.56
C -0.67767 -2.79985 4.01434 -0.06 -0.31 0.36 -0.60
C -0.16349 -1.55871 3.26875 0.48 -0.62 0.64 -0.58
O -0.70178 -1.67564 1.90663 -0.24 0.75 -0.95 -0.15
C -1.43454 -2.93818 1.65806 0.42 -0.89 -0.42 -0.49
H -1.07470 -4.68222 2.90618 -0.20 0.49 0.12 0.31
H -2.52671 -3.72487 3.31197 0.08 -0.20 0.15 0.30
H 0.15011 -3.40233 4.42540 -0.33 0.52 -0.09 0.32
H -1.33803 -2.48696 4.83157 0.33 -0.13 -0.12 0.29
H -0.50439 -0.61370 3.69521 -0.16 -0.08 0.02 0.48
H 0.93440 -1.56603 3.20420 -0.17 0.00 -0.05 0.43
H -0.83095 -3.48453 0.90645 -0.25 0.12 0.46 0.35
H -2.39729 -2.68448 1.18249 0.22 -0.04 0.57 0.33
```
Forces are in eV/Å.

---

# 2
Molecular formula: C10H12N2O2
Method: DFT, wB97M-V/def2-TZVPD

E_LUMO = 0.73 eV
SMILES string = C[C@@H]1N[C@H]2CC(=O)O[C@]23C=CC=CN13
Net charge = 0
Orbital gap = 0.3251 Ha
ΔE to the lowest compared entry with this formula, charge and spin = 39.07 kcal/mol

XYZ file:
```
26
Properties=species:S:1:pos:R:3:forces:R:3:mulliken_charge:R:1
C -1.24886 1.98657 -0.99411 2.79 0.56 1.38 -1.29
C -1.27393 0.51462 -0.50094 -0.84 2.41 1.50 0.10
N -1.38066 0.52539 1.13436 -0.24 -1.14 -1.87 -0.56
C -0.20535 -0.18282 1.60244 2.24 -0.79 -2.96 -0.19
C -0.39882 -1.31653 2.61477 -0.34 0.67 -0.61 -0.82
C -0.59152 -2.58444 1.75919 -0.87 -0.48 0.07 0.52
O -0.94637 -3.65518 2.19993 0.52 1.14 -0.70 -0.58
O -0.35280 -2.34667 0.43861 -0.64 -0.15 0.54 -0.44
C 0.29787 -1.02771 0.22966 0.36 -0.15 1.93 1.06
C 1.75137 -1.36912 0.15153 -2.15 1.81 -2.39 -1.36
C 2.48018 -1.23884 -0.94751 -0.96 0.06 -0.60 -0.27
C 1.84397 -0.77037 -2.15207 -0.87 1.12 0.64 -0.88
C 0.58521 -0.25543 -2.00140 1.29 -0.51 -0.33 -0.09
N -0.17247 -0.27279 -0.85998 1.85 -1.69 1.05 0.12
H -0.14601 2.33986 -0.75784 -1.99 -0.48 -0.54 0.27
H -1.83627 2.47853 -0.20832 -0.19 0.33 -0.81 0.38
H -1.44543 2.32017 -2.04768 -0.25 -0.90 1.05 0.33
H -2.14691 0.04379 -0.79453 -2.06 -0.86 -0.58 0.38

The head gasket is very carefully engineered to help maintain a seal here, and it is machined so that it can also help separate a variety of internal chambers. These chambers carry oil to lubricate the moving parts or water to cool everything down.


Over time, the head gasket may begin to deteriorate. This process may accelerate if the engine is running too hot on a regular basis (due to low coolant levels) and if this begins to happen, you will notice some tell-tale signs.

Warning Signs

To begin with, you may have to add coolant to the system on a very regular basis, even though there are no signs of a major leak. You may notice white smoke emanating from the exhaust, and this means that coolant is now mixing with oil due to a failure of the head gasket.

If you open the oil filler cap and can see an off-white sludge, then this once again means that oil is mixing with the coolant and the problem is quite severe.

Big Risk

Don't underestimate the risk here. If those two liquids are mixing together, it will compromise efficiency, cause damage to moving parts and lead to severe overheating. If you don't take any action, complete engine failure is possible, linked to a very expensive repair bill.

Replace and Check

In this case, the gasket will need to be replaced, and the engineer will also need to look at the condition of the block and cylinder head. Sometimes, these may be warped due to the high temperature and will have to be re-machined.

Urgent Action

Take the vehicle in to a technician as soon as you can, so that they can begin to affect repairs. Reach out to a local engine repair service for more information.